Me: OMG! SORRY FOR NOT UPDATING IN LIKE FOREVER! My internet stopped working for a while and I've been grounded so yeah..the joys of my life.

Rouge: How are you going to make it up to them?

Me: Well, the contest winner for the new title is to be named at the end! And this chapter is almost twice as long as the others!

Shadow: Good for you...but nobody cares.

Me: Shut up, I tried my best!

Sonic: She does not own us, we belong to Sega!

Blaze: Please review and enjoy!

Everyone stared at the pink hedgehog in front of them, her eyes were red and puffy and tears streamed down her cheeks.


"Yes Blaze, it's me, I'm her older sister, it was me who let her run away...go..unprotected...who drove her to insanity...I-I...How could I have done something like that?! I'm a monster! A MONSTER!" Amy sunk to her knees on the floor. Her pitiful sobs echoed off invisible walls which seemed to have appeared only for the sake of making the scene even more heart-wrenching. The group stared in shock,frozen in their positions, some still trying to process what they had just discovered.

Sonic was not at all shocked. He just stared at her with an unreadable expression plastered on his face. After a few minutes, he calmly walked over to the sobbing pink hedgehog and hugged her. If anyone could even become more shocked, it was this that had driven them to that point. Sure it wasn't a necessarily rare occasion to see Sonic and Amy hugging, most of the time it was Amy running up to him and crushing him in one of her death-grips. It wasn't because it was rare for Sonic to hug back, he always did to avoid hurting her feelings. But to see DARK SONIC, a being which only knows destruction and pain, take pity on someone and hug them? That was just absurd.

Amy was the most surprised out of all of them, after all, she was probably the one who had faced the most destruction that was caused by him, both mentally and physically. This was also the being who had basically grown up with her sister, someone who she had left to die. Sure she had searched and searched for her missing sibling, but she had admitted defeat and gave up hope. Surely he must be mad at her?

"W-Why?" She managed to croak.

"Hmm?" He released her from the hug and helped her to stand up, flecks of emerald in his crimson eyes.

"W-Why?! Why don't you hate me? For all I've done to her?! You should be yelling at me! But instead you-you hugged me!" She practically screamed, in both confusion and frustration. He now wore a solemn expression.

"Amy" She finally met his eye.

"If you're asking if I forgive you I-I don't." Amy's green eyes went wide and many gasps could be heard from around him. He held up his hand for silence before anyone could speak.

"You left your sister when she needed you most. But although I don't forgive you, I want you to know that she did. Even though she wasn't in her right mind, she told me that she was glad you left her alone. And the more that I think about it, I'm thankful for that to. If you had found her, you would have both gone insane, and that would lead to one of you turning against the other, resulting in more blood being silt. It's also because of you..." He gave a sigh. "That I still exist to this day"

"W-what do you mean Blue?" Rouge finally came out of shock and managed to speak.

"I mean what I said; if it wasn't for me meeting Rosy, I would have nothing to live for back then. I wouldn't have probably made it through a year without either giving into insanity, or killing myself."

"Well surely you must of had something to live for?" Blaze asked, somewhat dreading asking the question.

"Nope. Let's see, both of my parents were gone, not like they ever loved me anyway, I really didn't have anything going for me except for my speed but I couldn't really get far with that, not being skilled in combat, so I couldn't even defend myself. I was alone so it's not like anyone would have cared if I were myself" Silver went to open his mouth before a glare was shot at him from the younger hedgehog. His mood changed drastically from sadness to anger.

"Don't you dare say that's not true because it really was. The only people to ever know about me before I met Rose was my parents."

"Did you nickname my sister 'Rose'?" Sonic's mood brightened instantly and he seemed overly happy.

"Yes, since she went ahead and gave me the nickname of 'Dark' I returned the favor." His grin fell, now replaced with boredom "So, now that we seem caught up, can we watch the stupid memories or is this gonna be a game of 21 questions? 'Cause you're already way over 21 if that's the case." Everyone seemed to close their mouths instantly and turned back to the screen. Though Knuckles couldn't help but whisper to Shadow.

"Jeeze, you think that Sonic has a bit of anger issues?" Shadow raised an eyebrow and looked over to where Sonic stood, now a bit taller for some reason but he just ignored that fact. He was talking to Silver before frowning about something the other hedgehog said. Sonic now had a scowl on his face and Silver gave a nervous laugh.

"Yup, are we gonna see just how fast we can make his moods change?" Knuckles laughed.

"Puh-lease, Sonic having severe mood swings? Why wouldn't we try to mess with him."

No one saw the evil grins plastered on the echinda's and hedgehog's face as their eyes landed on what would be their 'prey' this would be fun...

(A/N This is where the hallucinations part from chapter 14) As Sonic got caught up in his thoughts Strange voices came from around him. When he looked up, he saw bars, similar to those of a jail cell, made of met-no, bones. They trapped him in a small cage that was much to small for him, leaving him in a very uncomfortable position. The strange noises, which seemed to be a mix of animal noises and some form of speaking became louder as more...what were those? Monsters? Came and gathered around...tables? Yes, tables with white, blood-stained table-cloths on top of them. Sonic's breath quickened as he looked and saw more bone cages, all different sized, but either too short, or too thin to fit any regular mobian or human in them. The cages themselves seemed like a strange form of torture. The voices died down as a man at the front, on a stage tapped on a glass.

The man was missing his left eye as well as some as his skin. Looking behind him you could see a man, with what used to be a white bandage, now dripping with blood wrapped around his head, covering his eyes possibly for the better. A weird frog -like man stood beside him, a guitar in hand. A toad-like man was up there as well,with a base guitar.
All were dressed in either a black tuxedo or a white gown. The man with the glass spoke up above the voices. His voice a bit wispy.

Misplaced data records.
<<<
Entry 1:
The following is a calculated powder XRD pattern of InCu3Pd3. It was derived from the GGA-PBE geometry in Alexandria, using copper Kα.
Kinematic intensities with the Lorentz-polarization factor, no thermal factor.

Most intense lines, 10 to 80 degrees two-theta, in order of rising 2θ:
| 2theta | I (rel.) |
| --- | --- |
| 21.07 | 8 |
| 33.48 | 12 |
| 33.71 | 13 |
| 41.22 | 29 |
| 42.67 | 100 |
| 42.90 | 21 |
| 44.75 | 7 |
| 61.00 | 14 |
| 62.86 | 8 |
| 76.14 | 16 |
| 77.98 | 8 |
| 78.44 | 10 |

Cell and atoms:
a = 6.080 Å, b = 6.080 Å, c = 5.913 Å
α = 90.00°, β = 90.00°, γ = 92.18°
Fractional coordinates of all 14 atoms:
In1 0.213 0.213 0.000
In2 0.787 0.787 0.000
Cu1 0.216 0.216 0.500
Cu2 0.226 0.774 0.500
Cu3 0.249 0.751 0.000
Cu4 0.751 0.249 0.000
Cu5 0.774 0.226 0.500
Cu6 0.784 0.784 0.500
Pd1 0.000 0.500 0.259
Pd2 0.000 0.500 0.741
Pd3 0.500 0.000 0.259
Pd4 0.500 0.000 0.741
Pd5 0.500 0.500 0.263
Pd6 0.500 0.500 0.737

---

Entry 2:
The following is a calculated powder XRD pattern of InCu3Pd12. It was derived from the GGA-PBE geometry in Alexandria, using copper Kα.
Kinematic intensities with the Lorentz-polarization factor, no thermal factor.

Most intense lines, 10 to 80 degrees two-theta, in order of rising 2θ:
| 2theta | I (rel.) |
| --- | --- |
| 22.64 | 1 |
| 32.23 | 1 |
| 36.62 | 1 |
| 39.75 | 100 |
| 40.29 | 1 |
| 43.51 | 1 |
| 46.16 | 33 |
| 46.36 | 15 |
| 62.93 | 1 |
| 67.34 | 10 |
| 67.50 | 19 |
| 74.91 | 1 |

Cell and atoms:
a = 3.933 Å, b = 3.933 Å, c = 15.668 Å
α = 90.00°, β = 90.00°, γ = 90.00°
Fractional coordinates of all 16 atoms:
In1 0.000 0.000 0.000
Cu1 0.000 0.000 0.255
Cu2 0.000 0.000 0.500
Cu3 0.000 0.000 0.745
Pd1 0.000 0.500 0.133
Pd2 0.000 0.500 0.378
Pd3 0.000 0.500 0.622
Pd4 0.000 0.500 0.867
Pd5 0.500 0.000 0.133
Pd6 0.500 0.000 0.378
Pd7 0.500 0.000 0.622
Pd8 0.500 0.000 0.867
Pd9 0.500 0.500 0.000
Pd10 0.500 0.500 0.256
Pd11 0.500 0.500 0.500
Pd12 0.500 0.500 0.744

---

Entry 3:
The following is a calculated powder XRD pattern of InCu3Pd5. It was derived from the GGA-PBE geometry in Alexandria, using copper Kα.
Kinematic intensities with the Lorentz-polarization factor, no thermal factor.

Most intense lines, 10 to 80 degrees two-theta, in order of rising 2θ:
| 2theta | I (rel.) |
| --- | --- |
| 25.09 | 49 |
| 25.71 | 37 |
| 35.13 | 100 |
| 36.23 | 53 |
| 36.44 | 96 |
| 38.75 | 47 |
| 40.32 | 38 |
| 43.32 | 46 |
| 43.86 | 45 |
| 44.02 | 50 |
| 44.22 | 60 |
| 50.95 | 44 |

Cell and atoms:
a = 5.454 Å, b = 5.454 Å, c = 10.466 Å
α = 95.12°, β = 95.12°, γ = 81.19°
Fractional coordinates of all 18 atoms:
In1 0.051 0.051 0.264
In2 0.949 0.949 0.736
Cu1 0.000 0.000 0.000
Cu2 0.000 0.000 0.500
Cu3 0.252 0.252 0.873
Cu4 0.321 0.321 0.483
Cu5 0.679 0.679 0.517
Cu6 0.748 0.748 0.127
Pd1 0.012 0.588 0.334
Pd2 0.277 0.277 0.119
Pd3 0.321 0.679 0.000
Pd4 0.412 0.988 0.666
Pd5 0.476 0.476 0.705
Pd6 0.524 0.524 0.295
Pd7 0.588 0.012 0.334
Pd8 0.679 0.321 0.000
Pd9 0.723 0.723 0.881
Pd10 0.988 0.412 0.666

=====
>>>
Here the text continues.

"Alright everybody sit down,quiet now,listen up. I brought you all here to recite the annual obituaries. Like every year, we'll start at 'A' and we'll end with 'Z'. Alright, is the band ready?" The frog-man raised his hand and readied to play his guitar.


"Alright, hit it Boiles" The toad-man began to count down

"And a one,and a two" He dropped his hand and somewhat upbeat, creepy music filled the room. The man who had originally spoken now held a microphone in his hand.

The group seemed to raised an eyebrow and Sonic just shrugged. Then signaled for them to look at the screen.

" A is for Amber who drowned in a pool

B is for Billy who was eaten by ghouls

C is for Curt with disease of the brain

D is for Daniel, derailed on a train

E is for Eric who was buried alive

F is for Frank who was stabbed through the eye

G is for Greg who died in a womb

H is for Heather who was sealed in a tomb!

One by one, we bite the dust

We kick the bucket and begin to rust

Give up the ghost when your numbers up

We all fall down!

Ashes to ashes,bones to paste

You'll wither away in your resting place

Eternity in a wooden case

We all fall down" The frog-man then did a guitar solo.

Sonic couldn't help but smirk at the horrified and shocked faces of his friends.

"Wha-wha?" Silver sputtered, unable to form words.

Instead of answering his question Sonic just rolled his eyes and focused on the horrifying memory in front of him.

"I is for Issac who lost his front brakes

J is for Johnny who was bitten by snakes

K is for Kimmy who was shot in the head

L is for Larry who bled and bled

M is for Marie who burned to a crisp

N is for Nick who was pummeled by fists

O is for Olive who lived life too fast

P is for Pat who swallowed some glass"

By now the er...audience? Of the dead began joining into the course. Sonic however whimpered and covered his ears.

"Alright lads, altogether now"

" One By One, We Bite The Dust

We Kick The Bucket And Begin To Rust

Give Up The Ghost When Your Number's Up

We All Fall Down

Ashes To Ashes, Bones To Paste

You'll Wither Away In Your Resting Place

Eternity In A Wooden Case

We All Fall Down

Q Is For Quentin who Took The Wrong Trail

R Is For Reyna who Rotted In Jail

S Is For Steve who Was Shot With A Bow

T Is For Tori who Froze In The Snow

U Is For Urich who Trampled By Hooves

V Is For Vanessa who Fell Off A Roof

W Is For Willow who Was Hit By A Car

X Is For Xavier who Sunk In The Tar

Y Is For Yessy who Fell From A Plane

Z Is For Zack who Simply Went


Insane laughter could be heard from above, echoing off everything around it. Everything soon faded after that, but the next two words were crisp in the air.

"You're Next!" More insane laughter followed. Sonic pulled his knees up to his chest and slowly rocked back and forth for a few moments.

"A-A song about death?" He gave a weak chuckle "Who would have guessed.."

"Dark..." He heard a faint voice from somewhere close by, though he couldn't tell who it was.

"Dark?" The voice became more clear and sounded like a little girl calling him. Insane giggles followed, though it wasn't like the laughs from before, they seemed more familiar...

"R-Rose?" Sonic's eyes shot open as he saw a familiar, spiked green and yellow hammer only inches away from his face.

"Whoa! Could you put down the 'Hammer of Doom' please?"

Amy of course laughed at this. "Hammer of doom?"

"I'm sorry, do you know how much she can do with that thing? The thing has SHARP SPIKES at both ends of it, so excuse me for naming it for what it's for; Doom." Sonic shot back, slightly angered from being laughed at.


Rosy giggled and trampled him with a hug.

"Dark get taken to bad place? With lots of red and death?" She asked innocently.

"Yes. And what is it with you and blood?" Rosy let him go and tilted her head sideways

"Red liquid inside people, they must have it, right?" Sonic did not like the crazed, Cheshire smile on the little girl's face.

"Yes, people need blood to live, I thought you already knew that?" Rosy nodded eagerly and turned on her heels.

"No more bad people in city...that makes Rosy sad. Why kill only bad people? Good people hurt too..." Sonic stood up with his shaking legs and slowly, but surely made it over to Rosy and placed a hand on her shoulder.

"I know that the 'good people' cause others to hurt as well but we can't kill them." "Oh, but we can. You can seek out vengeance on those who ignored you, who never cared about you..." " Shut up" Sonic whispered to the voice in his head. He turned to a now crying Rosy. "But you know what?" She looked up at him.

"We can go to another town and kill more 'bad people'" Rosy brightened in an instant and jumped up. Her hammer disappeared and she climbed onto the older hedgehog's back, asking for a piggy-back ride. Sonic rolled his green eyes and started to run.

All of the females (minus Wave) 'Awwed' at the sight. The Males however just laughed, causing Sonic's muzzle to turn redi-sh.

"I-I can't believe you became like a big brother to her!" Amy finally said, a bit too dreamily in Sonic's opinion. Said hedgehog now had silenced the laughter and replaced his embarrassment with frustration.

"You know what? Shut up"

"Wow, that's the best comeback ever" Knuckles casually replied, his voice dripping with sarcasm.

"Can it Knucklehead! Remember this is MY past. I have memories in here that are so gruesome the images of them will stay with you and haunt you till you die."

"Whoa! That's a bit far" Wave commented, only to be glared at by the hedgehog.

"Are you all going to shut up so we can move along in the memories, or am I going to have to force you. 'Cause the second one is always an option." Least to say, everyone shut up.

Sonic managed to run to the next city before nightfall. Rosy had long since fallen asleep, her head resting on top of his with a small smile on her face. Sonic managed to find an abandoned building. As he reached behind him to pick up the sleeping girl, he was only met with the sensation of chocking when Rosy tightened her grip on him.

"Oh...come on Rosy!" He sighed as she showed no sign of waking up. Great, now he was a life-size, spiky teddy bear

Me: The song that was in the hallucination is called A Gorey Demise by Creature Feature.

And now...the moment you've all been waiting for!

Okay, so first of all AMAZING job on the titles guys! I really appreciate your creativity! This one was really tough, so I picked the top five and put them in a hat. I shall now draw from the the winner is *drumroll*

CeiwenS for the title of ;Two Shades of Blue! Congratulations! PM A link, or detailed description of a character you want me to draw and I'll send you the link to it once I'm finished! Again, thanks to all who participated and who read this story!

How is your summer so far? And if it's not summer where you are, what do you plan on doing for summer holidays? Let me know in the reviews!